How Chefs Can Adapt Menus to Accommodate Dietary Requirements.

Have a look at your menu. Is it mindful of dietary requirements and restrictions?

Not particularly? Could do better? Well, don’t worry, you don’t have to start from scratch. There are simple ways you can accommodate people with alternative diets, such as offering dairy or gluten-free alternatives, clearly marking common allergens on your menu, and educating your staff about cross-contamination.

Below we explore how you can adapt your menus to meet dietary requirements.

What Are The Main Diet Requirements You Need To Be Mindful Of?

The three main dietary requirements you need to be aware of include veganism, gluten-free diets, and allergies. Vegans do not consume animal products or by-products such as dairy, honey or eggs. Gluten-free diets exclude all forms of wheat, rye, barley and other grains containing gluten proteins. Finally, allergies can range from a mild intolerance to life-threatening anaphylactic reactions; therefore, you need to know about potential allergens in your kitchen.

How Can You Meet These Dietary Requirements?

1) Review Your Menu.

Take a close look at each item on your menu and check what food elements are involved in its preparation. If dishes contain animal products or gluten proteins, consider offering a vegetarian/gluten-free/vegan option so that everyone can enjoy your food. As a restaurant, you must have a list of all the ingredients that go into each dish, so customers with allergies can check they are safe to consume.

2) Be Mindful of Cross-Contamination and Educate your Staff.

== Between two parts of the piece: data records ==
# ReAgSn2 (PBE, optimized geometry)
# Total DFT energy (no corrections) ... -19.2 eV per formula unit
# Distance to the lowest polymorph of the same formula ... 1.74 eV/f.u.
# Crystal system ... tetragonal
# Formation energy ... 1.02 eV per atom
data_ReAgSn2
_chemical_formula_sum 'Re4 Ag4 Sn8'
_space_group_name_H-M_alt 'I -4 2 d'
_space_group_IT_number 122
_space_group_name_Hall 'I -4 2bw'
_cell_length_a 6.5383
_cell_length_b 6.5383
_cell_length_c 11.0378
_cell_angle_alpha 90.00
_cell_angle_beta 90.00
_cell_angle_gamma 90.00
loop_
_atom_site_label
_atom_site_type_symbol
_atom_site_fract_x
_atom_site_fract_y
_atom_site_fract_z
Re1 Re 0.0000 0.0000 0.0000
Ag1 Ag 0.0000 0.0000 0.5000
Sn1 Sn 0.2230 0.2500 0.1250

* * * * *

# 1
Density functional theory data (meta-GGA SCAN) for CaWClO2 at its PBEsol-relaxed geometry.

Unit cell a=4.325 b=4.325 c=4.757 alpha=90.00 beta=90.00 gamma=90.00
Space group P4/mmm (No. 123)
Symmetry-distinct sites (fractional):
Ca 0.000 0.000 0.000 (multiplicity 1)
W 0.500 0.500 0.000 (multiplicity 1)
Cl 0.000 0.000 0.500 (multiplicity 1)
O 0.000 0.500 0.500 (multiplicity 2)

Properties
Formation energy from raw total energies in eV/atom: 1.38


# 2
Density functional theory data (meta-GGA SCAN) for SrTiB2 at its PBEsol-relaxed geometry.

Unit cell a=4.408 b=4.408 c=15.068 alpha=90.00 beta=90.00 gamma=90.00
Space group I-42d (No. 122)
Symmetry-distinct sites (fractional):
Sr 0.000 0.000 0.000 (multiplicity 4)
Ti 0.000 0.000 0.500 (multiplicity 4)
B 0.006 0.250 0.625 (multiplicity 8)

Properties
DFT formation energy in meV/atom: 760


# 3
Density functional theory data (meta-GGA SCAN) for RbAsP2O at its PBEsol-relaxed geometry.

Unit cell a=5.130 b=5.130 c=3.792 alpha=90.00 beta=90.00 gamma=90.00
Space group P4/mmm (No. 123)
Symmetry-distinct sites (fractional):
Rb 0.000 0.000 0.000 (multiplicity 1)
As 0.500 0.500 0.500 (multiplicity 1)
P 0.000 0.500 0.500 (multiplicity 2)
O 0.500 0.500 0.000 (multiplicity 1)

Properties
Formation energy from raw total energies in eV/atom: 0.33

* * * * *

(1)
! Cr5Fe2H4 (PBE-GGA, optimized geometry); values from VASP
&SYSTEM
  ibrav = 0, nat = 11, ntyp = 3
/
ATOMIC_SPECIES
Cr 52.00 Cr.upf
Fe 55.84 Fe.upf
H 1.01 H.upf
ATOMIC_POSITIONS angstrom
Cr 0.000 0.000 0.000
Cr 4.496 0.000 0.671
Cr 3.979 0.000 3.507
Cr 9.246 0.000 1.500
Cr 8.729 0.000 4.336
Fe 0.547 0.000 2.695
Fe 12.678 0.000 2.311
H 2.245 0.000 2.992
H 5.825 0.000 3.697
H 7.401 0.000 1.310
H 10.980 0.000 2.014
CELL_PARAMETERS angstrom
7.088 -1.283 0.000
7.088 1.283 0.000
-0.951 0.000 5.006
! Size of the total moment = 0.0 μB per cell
! Volume = 8.28 Å³/atom
! Final energy = -75.70 eV per cell
! SG = C2/m (12)



(2)
! CrFeH2 (PBE-GGA, optimized geometry); values from VASP
&SYSTEM
  ibrav = 0, nat = 4, ntyp = 3
/
ATOMIC_SPECIES
Cr 52.00 Cr.upf
Fe 55.84 Fe.upf
H 1.01 H.upf
ATOMIC_POSITIONS angstrom
Cr 0.000 0.000 0.000
Fe 0.000 0.000 2.426
H 0.000 0.000 8.116
H 0.000 0.000 10.501
CELL_PARAMETERS angstrom
1.309 0.756 4.633

Even if you offer vegan/vegetarian/gluten-free options, you must be aware of cross-contamination in the kitchen. Your restaurant's kitchen layout is important for this reason. Make sure all ingredients are stored separately and utensils or cooking surfaces are not shared by those containing different ingredients (such as meat and vegetables, dairy, nuts etc.). You must also provide training sessions, so your team understands the importance of accommodating people with different dietary requirements or restrictions, and the system you have to ensure certain goods don't come in contact with each other, from storage to food prep.

~~~
(1)
Crystalline Ta2TlTe at its relaxed geometry. Source: the Alexandria database, functional PBE-GGA.

Cell: 3.4632 4.7223 5.1636 Å, 90.00 90.00 90.00°
Space group Pmmm (No. 47)
Unique sites:
Ta1 0.0000 0.0000 0.0000 x1
Ta2 0.5000 0.0000 0.5000 x1
Tl1 0.0000 0.5000 0.5000 x1
Te1 0.5000 0.5000 0.0000 x1

ΔE to the lowest computed polymorph: 442 meV/atom
energy relative to the elements, uncorrected: 14.099 kcal/mol of atoms
calculated volume: 84 Å³ per cell
density of states at the Fermi level: 2.74 states/eV/f.u.

***

(2)
Crystalline Sm12Hg6Rh at its relaxed geometry. Source: the Alexandria database, functional PBE-GGA.

Cell: 12.2667 12.2667 13.4407 Å, 90.00 90.00 120.00°
Space group R-3 (No. 148, hexagonal axes)
Unique sites:
Sm1 0.0337 0.8414 0.3765 x18
Sm2 0.0367 0.1891 0.8897 x18
Hg1 0.0062 0.3985 0.7570 x18
Rh1 0.0000 0.0000 0.5000 x3

ΔH_f (0 K): -5.12 eV/f.u.
calculated volume: 1752 Å³ per cell
density of states at the Fermi level: 23.45 states/eV/f.u.

***

(3)
Crystalline CePr2Sn at its relaxed geometry. Source: the Alexandria database, functional PBE-GGA.

Cell: 5.0032 5.0032 4.7844 Å, 90.00 90.00 90.00°
Space group P4/mmm (No. 123)
Unique sites:
Ce1 0.0000 0.0000 0.0000 x1
Pr1 0.0000 0.5000 0.5000 x2
Sn1 0.5000 0.5000 0.0000 x1

ΔE to the lowest computed polymorph: 0 meV/atom
ΔH_f (0 K): -1.62 eV/f.u.
calculated volume: 120 Å³ per cell
density of states at the Fermi level: 8.06 states/eV/f.u.

***

(4)
Crystalline BaFeNi3 at its relaxed geometry. Source: the Alexandria database, functional PBE-GGA.

Cell: 4.5754 4.5754 4.5754 Å, 90.00 90.00 90.00°
Space group Pm-3m (No. 221)
Unique sites:
Ba1 0.0000 0.0000 0.0000 x1
Fe1 0.5000 0.5000 0.5000 x1
Ni1 0.0000 0.5000 0.5000 x3

ΔE to the lowest computed polymorph: 0 meV/atom
ΔH_f (0 K): 2.46 eV/f.u.
calculated volume: 96 Å³ per cell
density of states at the Fermi level: 5.17 states/eV/f.u.

***

(5)
Crystalline PuPaTiTc at its relaxed geometry. Source: the Alexandria database, functional PBE-GGA.

Cell: 6.7344 6.7344 6.7344 Å, 90.00 90.00 90.00°
Space group F-43m (No. 216)
Unique sites:
Pu1 0.0000 0.0000 0.0000 x4
Pa1 0.2500 0.2500 0.7500 x4
Ti1 0.2500 0.2500 0.2500 x4
Tc1 0.0000 0.0000 0.5000 x4

ΔH_f (0 K): -0.18 eV/f.u.
calculated volume: 305 Å³ per cell
density of states at the Fermi level: 10.13 states/eV/f.u.

***

(6)
Crystalline ScSbTeO6 at its relaxed geometry. Source: the Alexandria database, functional PBE-GGA.

Cell: 5.3859 5.3859 9.6206 Å, 90.00 90.00 120.00°
Space group P-31c (No. 163)
Unique sites:
Sc1 0.3333 0.6667 0.2500 x2
Sb1 0.0000 0.0000 0.0000 x2
Te1 0.3333 0.6667 0.7500 x2
O1 0.0227 0.3708 0.6371 x12

energy relative to the elements, uncorrected: -40.019 kcal/mol of atoms
calculated volume: 242 Å³ per cell

***

(7)
Crystalline TlNiAg at its relaxed geometry. Source: the Alexandria database, functional PBE-GGA.

Cell: 10.5506 3.2567 3.2573 Å, 90.00 107.53 90.00°
Space group Cm (No. 8)
Unique sites:
Tl1 0.0000 0.0000 0.0000 x2
Ni1 0.1508 0.5000 0.6502 x2
~~~

3) Create New Menu Offerings.

Take advantage of this opportunity to get creative! Think outside the box when creating dishes for those with dietary restrictions - you may even find some additional customers who appreciate having more options.

4) Publicise And Be Open To Feedback.

Promote any new gluten-free/allergen-excluding/vegan options on social media or via email newsletters so customers know they have extra options when visiting your restaurant. Also, invite customer feedback to continue improving and adapting your menu according to their needs!

How Can RATIONAL help?

With RATIONAL, you can handle many customer requests using just one piece of kitchen equipment. By using an intelligent cooking system such as the RATIONAL iCombi Pro , along with its built-in iProductionManager , you can eliminate the stress of cooking multiple dishes with different dietary requirements all at once. This makes mixed loading a breeze.

Simply tell the iCombi Pro which foods you want to prepare, and the iProductionManager will tell you which products can be cooked in which order or at the same time. The cooking system will alert you when it needs to be loaded or unloaded, and the rest is automatic.

With the iCombi Pro , you have control of production at all times with little to no monitoring, so any staff member can use it with minimal training and skills needed. Click below to learn more about how RATIONAL's intelligent cooking systems can help manage complex menus.

With many alternative diets out there, you must be aware of their unique dietary needs to provide an enjoyable dining experience for everyone who visits your restaurant! By taking steps such as reviewing and evolving menus, to ensuring the kitchen is equipped to perfectly cook and prepare allergen-free dishes, you can quickly adapt menus to deal with any and all dietary requirements!

Get in touch with the team at RATIONAL today to learn more about the iCombi Pro or the iProductionManager system.